Wednesday, July 25, 2012

The Need for a New Lead – Part 1

Video games have come a long way since its humble origin; graphics have improved, game design has become more intricate, and consoles/pc has become vastly more complicated to develop for. However, in all this time, the protagonists of the games we play have stayed mostly the same. Not that there is anything wrong with the generic male lead, but I believe it’s time for more diversity. It’s time to bolster up the female leads, but not at the expense of personality, and there are examples within the industry already to learn from.
Samus, at the very end of Metroid
Makoto Kano probably didn’t realize what a big deal he was going to make in 1986 when writing Metroid. He just helped to create a game with a strong lead going up against insurmountable odds. The player was taken on a journey with Samus, and when you finally got to the end of the game it no longer mattered that she turned out to be a woman. She was strong, bold, fearless, and thanks to the trials during the adventure, the gamer had an affinity with her. She has attained lasting fame, not only by being the first, but also by having a mostly great series of games (We'll ignore Metroid Other M). Nintendo has treated her, and the Metroid series, with tremendous respect, and this helps to explain why after 26 years she has remained relevant.
This is how a badass dual wields
Nariko from HeavenlySword (voiced and modeled after the wonderful Anna Torv), was another female character cut from the same cloth as Samus. She was strong, brave, and driven to protect her people. With her fiery red hair, she cut through the enemy, despite the physical toll it took on her. It was because of this sense of tragedy that the player got to care for her; she was trying to save her people at the cost of her life, and everything the player did hastened her death. She knew what she was getting into, but she showed such strength of character doing all she could to protect those she loved. These simple acts speak volumes, far more than Marcus Fenix’s four letter words and bulging muscles. I one day hope for her return, outside of an assumed All Star’s appearance.
There can only be one
But not all characters are created equal; Tomb Raider’s Lara was… different. She had big boobs and short shorts, and, that was kinda it. She was sold on sex appeal, and whatever personality she may have had was forgettable, but the game play was good for the time, and her world was intriguing. This may change in 2013’s reboot, but only time will tell. The Boss (we need a solo game with her), Alyx Vance, and Zelda are all great characters, but they are not leads. So those were some of the strong female leads that have graced video games, but the industry needs not only look within; film and TV is a great place to get inspiration from too.
Out in the wilds of fan fiction, these two must be kicking ass together
Ripley (portrayed by Sigourney Weaver) from the Aliens universe and Olivia (not surprisingly performed by Anna Torv) from Fringe are great female leads. Like some of the others mentioned above, they’re bold, strong, brave, and extraordinarily protective of those around them. When put into tough situations, they have the fortitude and patience to think things through, and act with deliberation, most time outsmarting their advisories. They’re honest and hardworking, almost to a fault, and they don’t compromise their core beliefs on a whim or fancy. They have constantly been the best part of their respective universes, and please note, carrying big guns or having superpowers are not a defining trait, just incredibly cool.
Korra, just doing her Avatar thing
Recently the show The Legend of Korra not only had a female lead character, but one that was a minority too. And unlike Japanese anime, Korra was not a caricature of a strong female lead. She didn’t need over sized boobs, tight barely visible clothing, and big luscious lips to be strong. She was independent, trying to discover who she is and where she fit in into her world. It was a fascinating and honest journey (who hasn’t struggled with their identity while growing up), and handled with integrity. And she isn’t the only strong female lead this show has offered. LinBeifong, and her mother Toph were just as well rounded as the young Avatar.  
Hey, what about us?
There are plenty of female characters I didn’t mention (Jade from Beyond Good and Evil, Chell from Portal and Buffy the Vampire Slayer), but there is plenty of room for more games with strong engaging female leads. Most of these women are strong, brave, smart, and willing to sacrifice themselves for the greater good. You could write nonsense about it only being maternal instinct, but it’s deeper than that. These leads are good people who have been thrust into difficult circumstances, but managed to rise to the occasion. It just so happens they are women. This industry needs more diversity, something the movie industry and the TV world has, by and large, failed at; for every Ripley, Korra and Olivia, you get hundreds of male leads. It’s time for the video game industry to move beyond the limitations that have defined other forms of entertainment, and take bold steps. Gamers are intelligent (you need to be for games like Portal), and I have no doubt that we can handle a shift to more diversity, so bring it on, I would welcome this opportunity. Next month I’ll write about the need for stronger, better fleshed out and engaging minority leads.

-- begin --
Entry 1:
A relaxed LiGa2W2 crystal, computed with GGA-PBE.

Unit cell a=6.5782 b=6.5782 c=3.5815 alpha=90.00 beta=90.00 gamma=90.00
Last column: nearest neighbours and their distance in Å.
Space group P4/mbm (No. 127)
Inequivalent atoms, fractional coordinates:
1 Li 0.0000 0.0000 0.0000 x2  4 Ga 2.52
2 Ga 0.1456 0.3544 0.0000 x4  2 Li 2.52, 6 W 2.60-2.65, 1 Ga 2.71
3 W 0.1514 0.6514 0.5000 x4  6 Ga 2.60-2.65, 1 W 2.82

Output
The volume is 15.50 A^3/atom. As for the energy of formation: 0.37 eV per atom. The density of states at the Fermi level is 7.3 states/eV per cell.

Entry 2:
A relaxed LiGaW2 crystal, computed with GGA-PBE.

Unit cell a=6.9075 b=6.9075 c=5.2386 alpha=90.00 beta=90.00 gamma=90.00
Last column: nearest neighbours and their distance in Å.
Space group I-42d (No. 122)
Inequivalent atoms, fractional coordinates:
1 Li 0.0000 0.0000 0.0000 x4  4 W 2.52, 2 Ga 2.62
2 Ga 0.0000 0.0000 0.5000 x4  4 W 2.54, 2 Li 2.62
3 W 0.2486 0.2500 0.1250 x8  2 Li 2.52, 2 Ga 2.54, 2 W 2.62

Output
The volume is 15.62 A^3/atom. As for the energy of formation: 0.89 eV per atom. The density of states at the Fermi level is 3.8 states/eV per cell.

Entry 3:
A relaxed LiGa2W crystal, computed with GGA-PBE.

Unit cell a=6.2635 b=6.2635 c=6.2635 alpha=90.00 beta=90.00 gamma=90.00
Last column: nearest neighbours and their distance in Å.
Space group Fm-3m (No. 225)
Inequivalent atoms, fractional coordinates:
1 Li 0.0000 0.0000 0.0000 x4  8 Ga 2.71
2 Ga 0.2500 0.2500 0.2500 x8  4 W 2.71, 4 Li 2.71
3 W 0.0000 0.0000 0.5000 x4  8 Ga 2.71

Output
The value obtained for the energy relative to the lowest polymorph listed for this composition is 0.219 eV/atom. The volume is 15.36 A^3/atom. As for the energy of formation: 0.21 eV per atom. The density of states at the Fermi level is 11.1 states/eV per cell.

Entry 4:
A relaxed LiGaW3 crystal, computed with GGA-PBE.

Unit cell a=4.2443 b=4.2443 c=4.2443 alpha=90.00 beta=90.00 gamma=90.00
Last column: nearest neighbours and their distance in Å.
Space group Pm-3m (No. 221)
Inequivalent atoms, fractional coordinates:
1 Li 0.0000 0.0000 0.0000 x1  6 W 2.12
2 Ga 0.5000 0.5000 0.5000 x1  12 W 3.00
3 W 0.0000 0.0000 0.5000 x3  2 Li 2.12

Output
The value obtained for the energy relative to the lowest polymorph listed for this composition is 0.000 eV/atom. The volume is 15.29 A^3/atom. As for the energy of formation: 1.43 eV per atom. The density of states at the Fermi level is 4.9 states/eV per cell.

Entry 5:
A relaxed LiGa2W crystal, computed with GGA-PBE.

Unit cell a=3.9078 b=3.9078 c=17.6738 alpha=90.00 beta=90.00 gamma=90.00
Last column: nearest neighbours and their distance in Å.
Space group I-42d (No. 122)
Inequivalent atoms, fractional coordinates:
1 Li 0.0000 0.0000 0.0000 x4  4 Ga 2.62, 4 W 2.76
2 Ga 0.2375 0.2500 0.6250 x8  2 W 2.59, 2 Li 2.62, 4 Ga 2.69-2.83
3 W 0.0000 0.0000 0.5000 x4  4 Ga 2.59, 4 Li 2.76

Output
-- stop --

Click here for articles on Dishonored, Metal Gear, and E3 2012.

1 comment:

  1. I just orderd my Metroid other M from at PIJ . Its really awesome for pre order. you can also get yours there.
